View Full Version : Network / WiFi Problem - help please.

31-07-06, 12:00 PM
I have a notebook with built in wifi... and am trying to get it to connect to the LAN at work via the Netgear wireless accesspoint/router we have.

Router IP =

IP is assigned to notebook manually as automatic assignment doesnt yield any results.

Switch the notebook on, and look for wireless networks and it picks up the office network, and connects to it with a strong signal, connected at 54mbps.

However, this is where it gets wierd. Although it claims it is connected, it doesnt do anything. Cannot even ping

WEP key has been set correctly, and i have tried manual/automatic IP assignment with no joy.

Connecting to the network via an RJ45 works perfectly, just the WiFi that is being a hassle.

We've not got any other wireless devices in the office for me to compare to, so there must be something i missing here.

It's my first forray into the wonderful world of wireless, and so far, i'm just pissed off lol.

Help Me! Please.

31-07-06, 12:04 PM
PS. It's running XP Home SP2, should that make any difference to your ideas.

31-07-06, 12:06 PM
My desktop was like this... can you connect with WEP etc disabled? That screws mine up nicely, so I've had to turn it off.

Also, if the laptop has XP, try disabling the Wireless Zero Configuration service as this can conflict with any manufacturer software/drivers for the wifi NIC (or vice versa; disable the NIC software and try running WZC alone).

Ahh, could well be the WZC then as this comes in SP2

31-07-06, 12:14 PM
you've gone a bit fast for me there mate lol.

31-07-06, 12:17 PM
oh, one other thing - the router has had its default username/password changed by "the IT bloke" and he cannot remember changing it, so i cannot change any router settings.

31-07-06, 12:23 PM

Have a look in the control panel on the laptop, I think you need Administrative Tools > Services. It'll be listed down the bottom of the list as Wireless Zero Configuration. Right click on that, choose Properties - there should be options there to Stop and Disable the service (described here (http://paininthetech.com/disable_wireless_zero_configuration_in_windows_xp) ).

[edit]Does the router have a physical reset button? Usually if you press and hold the button for ~10 seconds or so it resets everything, including reverting passwords back to factory defaults...

31-07-06, 12:27 PM
Probably has, but that would also dump the ISP details wouldnt it? rendering us without internet access and email.

Found the wireless zero configuration, its now disabled, made no difference, even after rebooting. It renders me with no ability to connect at all.

I've read somewhere this morning that there are some issues with service pack 2 and some aspects of tcp/ip and dhcp, but i cant remember what it said now, nor can i find where i read it.

31-07-06, 12:45 PM
Wouldn't surprise me for XP... SP2 did change a lot of wireless stuff...

Have you checked firewall settings on the laptop? Could be blocked there for some reason...

31-07-06, 12:49 PM
yeah i've checked the firewall on the laptop and switched it off.

it is REALLY annoying. Glad i didnt go and spend money on a router yesterday when i bought the laptop though, at least now i can make sure it works first!

31-07-06, 03:30 PM
Wireless is gay... just ditch it and use the normal Lan connection lol

What is the IP address of the laptop?

## Attached: crystal structures
+++
(1)
VASP calculation (PBE) on a geometry-optimized Mg3P2O8 structure.

Cell and atoms, written as POSCAR:
```
Mg3P2O8
1.0
4.791 0.000 0.000
0.000 5.982 0.000
0.000 0.059 10.330
O Mg P
16 6 4
Cartesian
1.094 3.229 6.832 O
0.890 4.478 4.721 O
1.210 1.710 9.249 O
1.505 4.508 9.886 O
3.900 1.563 5.609 O
3.905 0.379 3.319 O
3.490 2.842 8.662 O
3.286 1.534 0.444 O
1.509 5.633 1.845 O
3.606 4.361 6.246 O
1.185 1.681 4.084 O
3.282 0.409 8.484 O
3.580 4.331 1.081 O
3.697 2.812 3.497 O
0.886 5.662 7.010 O
1.301 3.199 1.667 O
2.437 4.602 8.035 Mg
2.354 1.440 2.295 Mg
0.041 1.469 7.460 Mg
0.000 2.991 0.000 Mg
4.750 4.572 2.870 Mg
2.395 3.021 5.165 Mg
0.349 4.481 6.174 P
4.442 1.560 4.156 P
2.047 4.451 1.009 P
2.744 1.590 9.321 P
```

Results
Energy above the most stable polymorph in this dataset   0.014 eV/atom
Total DFT energy (no corrections)   -6.875 eV per atom
Calculated formation energy   -3.0511 eV per atom
Crystal system   monoclinic

(2)
VASP calculation (PBE) on a geometry-optimized MgPO4 structure.

Cell and atoms, written as POSCAR:
```
MgPO4
1.0
3.998 9.429 0.000
-3.998 9.429 0.000
0.000 2.610 8.533
P O Mg
8 32 8
Cartesian
-1.424 12.336 3.541 P
0.368 15.894 2.002 P
0.368 4.269 2.264 P
-0.368 5.574 6.531 P
1.424 9.131 4.992 P
1.424 13.641 7.808 P
-0.368 17.199 6.268 P
-1.424 7.826 0.725 P
-1.996 8.689 4.583 O
0.907 15.044 8.179 O
-0.717 8.347 2.013 O
-2.990 7.668 1.108 O
-1.330 11.399 8.097 O
0.717 9.652 6.279 O
-1.361 16.991 7.429 O
1.996 12.779 3.950 O
-1.330 11.373 4.702 O
0.368 14.652 1.105 O
1.008 17.618 6.761 O
-0.907 13.739 3.912 O
1.361 15.686 3.163 O
-2.990 12.495 3.158 O
0.368 5.511 3.162 O
0.717 13.121 6.520 O
1.330 10.094 3.831 O
1.330 10.068 0.435 O
-1.361 5.782 5.370 O
-1.996 14.084 8.216 O
1.008 5.155 6.039 O
-1.008 3.850 1.772 O
-0.368 15.957 5.371 O
-1.008 16.313 2.494 O
2.990 13.800 7.424 O
2.990 8.973 5.375 O
1.361 4.476 1.104 O
-0.368 6.816 7.428 O
1.996 7.384 0.316 O
-0.907 6.423 0.354 O
-0.717 11.816 2.254 O
0.907 7.728 4.621 O
-0.865 13.110 0.510 Mg
0.865 14.415 4.777 Mg
-1.999 4.714 0.000 Mg
1.999 6.019 4.266 Mg
-0.865 7.053 3.756 Mg
0.370 10.081 2.133 Mg
-0.370 11.386 6.400 Mg
0.865 8.358 8.023 Mg
```

Results
Total DFT energy (no corrections)   -6.578 eV per atom
Calculated formation energy   -2.5683 eV per atom
Crystal system   monoclinic

(3)
VASP calculation (PBE) on a geometry-optimized MgSn3P2S4O24 structure.

Cell and atoms, written as POSCAR:
```
MgSn3P2S4O24
1.0
8.748 -0.006 0.009
-4.379 7.582 0.013
0.022 0.052 22.579
O Sn S P Mg
72 9 12 6 3
Cartesian
2.758 2.760 9.609 O
2.786 7.412 9.233 O
0.655 3.451 10.629 O
6.052 2.806 14.430 O
-1.707 4.787 8.225 O
1.101 3.721 8.225 O
2.668 7.330 15.755 O
1.655 4.898 13.023 O
-1.620 5.301 17.096 O
2.741 2.378 16.741 O
-2.648 7.308 4.463 O
1.642 5.255 5.809 O
5.025 4.159 0.686 O
6.091 2.288 11.930 O
2.716 2.776 3.137 O
-0.595 3.504 21.943 O
-1.083 3.756 19.434 O
1.694 0.229 6.856 O
5.024 6.027 18.146 O
5.478 1.152 0.680 O
-3.276 6.283 15.728 O
0.575 6.648 8.197 O
+++

Does the Office Lan run dhcp or static Ip's?

Does the lan run a domain or workgroup?

31-07-06, 04:51 PM
Workgroup > static IP's.

The laptop IP is on the wifi card and on the LAN card, makes no difference what the IP is set to for the wifi, it wont establish itself onto the network.

I can only assume that either 1. My wifi driver and or card is faulty, 2. That the wireless aspect of our router is knackered (no other way to test it), or 3. There is something up with XP SP2 that is interfering somehow, but the laptop was supplied with this installed.

Very annoying.

I am happy enough using wires for now, but seems a shame to have the wifi in there and not use it. At the moment it matters not, because its only going to be used for some basic stuff like word processing and a bit of web design and stuff, but i'm annoyed it wont work.

I reckon there is something i am missing in there, just dont know what.

Ping the router/other pc's doesnt work.
Ping the laptop from another pc doesnt work either.

Plug the network cable into it and its fine, works just as you'd expect it to.

Materials data, as found in the file:
- - -
1.
Here is crystalline NaLa2In2PS5O24 at its relaxed geometry from the Materials Project. Energies are from PBE-GGA.

abc: 9.1505 9.1435 24.4910
angles: 89.93 90.17 119.80
Element x y z (fractional)
Na 0.9987 0.9866 0.9954
Na 0.6533 0.3316 0.8381
Na 0.6783 0.3315 0.3337
La 0.9997 0.9911 0.8490
La 0.0013 0.0078 0.1566
La 0.6755 0.3347 0.1902
La 0.6588 0.3344 0.9792
La 0.3396 0.6729 0.0170
La 0.3412 0.6743 0.8095
In 0.9991 0.0048 0.3551
In 0.0006 0.0008 0.6449
In 0.6649 0.3326 0.6767
In 0.6666 0.3331 0.4852
In 0.3330 0.6673 0.5177
In 0.3277 0.6596 0.3195
P 0.0068 0.3008 0.2610
P 0.6372 0.6680 0.9147
P 0.3329 0.9696 0.9145
S 0.2933 0.9911 0.2604
S 0.6984 0.7075 0.2604
S 0.3035 0.2862 0.7414
S 0.9817 0.6932 0.7405
S 0.7158 0.0198 0.7411
S 0.9601 0.3347 0.5813
S 0.3742 0.0398 0.5813
S 0.6655 0.6260 0.5814
S 0.9659 0.6394 0.0838
S 0.6742 0.0360 0.0837
S 0.3614 0.3272 0.0852
S 0.0324 0.3647 0.9146
S 0.6209 0.9586 0.4179
S 0.3392 0.3764 0.4188
S 0.0377 0.6645 0.4180
O 0.2037 0.0130 0.3074
O 0.8136 0.7930 0.3072
O 0.9790 0.1832 0.3101
O 0.2322 0.1878 0.7921
O 0.9537 0.7633 0.7915
O 0.8126 0.0452 0.7921
O 0.8039 0.9997 0.6931
O 0.1964 0.1983 0.6931
O 0.0027 0.8031 0.6929
O 0.7710 0.7971 0.2084
O 0.0239 0.2231 0.2070
O 0.2009 0.9697 0.2085
O 0.8856 0.3705 0.6299
O 0.4842 0.1134 0.6302
O 0.6295 0.5160 0.6302
O 0.8746 0.5428 0.1335
O 0.6704 0.1276 0.1334
O 0.4586 0.3321 0.1346
O 0.4450 0.3133 0.0353
O 0.8671 0.5544 0.0341
O 0.6860 0.1331 0.0340
O 0.4500 0.1516 0.5326
O 0.7014 0.5498 0.5326
O 0.8483 0.2984 0.5322
O 0.5466 0.6662 0.9679
O 0.1214 0.4487 0.9657
O 0.3268 0.8755 0.9675
O 0.5435 0.8552 0.4678
O 0.3107 0.4540 0.4683
O 0.1427 0.6928 0.4679
O 0.1130 0.6307 0.3694
O 0.5121 0.8823 0.3690
O 0.3734 0.4850 0.3700
O 0.1242 0.4604 0.8655
O 0.3293 0.8706 0.8628
O 0.5368 0.6641 0.8632
O 0.0186 0.8151 0.4092
O 0.7893 0.9753 0.4103
O 0.1900 0.2071 0.4107
O 0.0150 0.1948 0.9143
O 0.1773 0.9944 0.9154
O 0.8119 0.8303 0.9154
O 0.9795 0.1847 0.5907
O 0.2055 0.0212 0.5908
O 0.8151 0.7945 0.5910
O 0.9844 0.8100 0.0860
O 0.8254 0.0157 0.0851
O 0.1916 0.1740 0.0863
O 0.6986 0.1734 0.7345
O 0.4744 0.3027 0.7350
O 0.8276 0.5239 0.7337
O 0.6751 0.5342 0.2573
O 0.8482 0.3222 0.2577
O 0.4627 0.1453 0.2570
O 0.6607 0.5118 0.9117
O 0.8630 0.3485 0.9135
O 0.4954 0.1436 0.9123
O 0.6401 0.1323 0.4248
O 0.4939 0.3582 0.4264
O 0.8653 0.5102 0.4254
O 0.3461 0.4790 0.0833
O 0.1312 0.6505 0.0824
O 0.5209 0.8701 0.0834
O 0.3574 0.8713 0.5715
O 0.5142 0.6434 0.5713
O 0.1280 0.4858 0.5713
O 0.3116 0.8410 0.2676
O 0.5349 0.6994 0.2678
O 0.1670 0.4730 0.2677
O 0.3199 0.4537 0.7461
O 0.1316 0.6751 0.7457
O 0.5479 0.8691 0.7450

Computed properties:
As for the space group: No. 1.



2.
Here is crystalline NaLaInPS2O12 at its relaxed geometry from the Materials Project. Energies are from PBE-GGA.

abc: 9.1466 9.1498 24.3862
angles: 90.07 89.77 119.98
Element x y z (fractional)
Na 0.9821 0.9882 0.4990
Na 0.0084 0.9853 0.9991
Na 0.6567 0.3091 0.8288
Na 0.6529 0.3118 0.3364
- - -

Wifi shows a "Very Good" signal strength connection to the network, which it detected automatically with no problems. Also picked up a few others down the road, but non that arent protected for me to play with...

The WEP settings i have are correct, because i tried changing them to some random rubbish and it wouldnt connect, so at least i know that much is right!

31-07-06, 07:04 PM
Wisewood, just a quick one as you haven't confirmed or denied,
have you got the router's IP as both gateway and DNS?

There is another scenario that some wired & wireless routers run the wireless on a different subnet to keep the wired network more secure.

Also any info as to the embedded wifi? I've had a nightmare with Belkin gear in the past.



01-08-06, 12:01 PM
Well, my brother in-law went out yesterday and bought himself the very same laptop that i've got. With the assistance of his tech savvy friend, they've set their home router up and his wifi sprang to life just as you'd expect.

So, there's likely no faults with the hardware/software combination on the laptop, at least there shouldnt be.

With a little help from Fester this morning we've established the WEP key that was given to us by "the IT guy" we use is a load of pants. Its gibberish, and wont work because its a 26 digit hex key, which when converted back to ascii just doesnt produce a string of the required length.

I need to find out either 1. The username/password for the router (which we dont know) or 2. reset the router and start from scratch.

Finding a means to get the username/password combination would be best option, as i am confident we dont have the ISP details to input into the router again too. Dont want to end up paying "the IT guy" to come out and sort this, because its not a legitimate business need, i just want to get my laptop on the network lol.... without wires.

01-08-06, 05:51 PM
Google the make/model of the router, see if that turns up the admin, user or support user passwords lol

01-08-06, 08:39 PM
the admin username / password is printed on the router... tried that, along with a million other obvious ones relating to our business and its staff etc.

user: admin
pass: password


07-08-06, 01:12 PM
I solved the problem - found out the ISP settings and reset the router.

It is now set up properly and works perfectly. All that hassle and messing around, worrying about the possible problems with my shiney new laptop, all for nothing.

Happy joy joy.

07-08-06, 05:59 PM
Time to download some celebratory pr0n courtesy of the works connection methinks lol

08-08-06, 11:00 AM
I could do that anyway, straight onto the desktop - have my own office, and my desk faces the door, so if anyone comes in i see them well before they can see what i'm up to. :-p

obviously i would never do such a thing.